
Relationship Realism Quotes

There are 77 quotes

"Every couple fights; our relationship is not perfect. No relationship is."
"Love at first sight doesn't exist. Love takes time and love takes work."
"You cannot make somebody happy in your early 20s."
"You're flawed, I'm flawed. The best we can ever be in the world is two flawed people having a flawed relationship."
"She doesn't love you, she loves how you make her feel."
"Recognizing like no relationship is going to be perfect."
"Every relationship will get boring after you've been together for years."
"Nothing is ever perfect, no relationship is perfect."
(Misplaced calculated crystals)
'''
This entry pairs a crystal structure of Pu3MnS6 with its theoretical XRD peak list. Radiation: Cu Kα. Structure: DFT lattice parameters and positions (PBE).
Lines closer than 0.1° are merged.

Largest 10 diffraction maxima, by intensity, 2θ = 10–90°:
2θ (°)  d/Å  I_rel
25.4  3.507  100.0
25.7  3.470  55.6
38.2  2.359  43.6
17.3  5.117  40.2
42.3  2.137  33.5
38.7  2.325  29.1
25.9  3.441  27.1
51.3  1.782  26.2
49.4  1.846  20.1
27.5  3.240  16.6

Cell and atoms:
```
Pu3MnS6
1.0
5.3418 -6.6772 0.0000
5.3418 6.6772 0.0000
0.0000 0.0000 6.4791
Pu Mn S
6 2 12
Cartesian
5.3418 5.2672 3.2396 Pu
3.4081 1.3807 2.8068 Pu
3.4081 -1.3807 6.0464 Pu
7.2755 1.3807 2.8068 Pu
7.2755 -1.3807 6.0464 Pu
5.3418 -5.2672 0.0000 Pu
5.3418 2.6182 5.6941 Mn
5.3418 -2.6182 2.4546 Mn
3.5377 3.5647 4.5864 S
1.7283 0.3086 4.6434 S
1.7283 -0.3086 1.4038 S
5.3418 2.9007 1.5332 S
7.1458 3.5647 4.5864 S
5.3418 0.4852 4.7174 S
5.3418 -0.4852 1.4778 S
3.5377 -3.5647 1.3468 S
5.3418 -2.9007 4.7728 S
8.9553 0.3086 4.6434 S
8.9553 -0.3086 1.4038 S
7.1458 -3.5647 1.3468 S
```



This entry pairs a crystal structure of PuMnTl2Se4 with its theoretical XRD peak list. Radiation: Cu Kα. Structure: DFT lattice parameters and positions (PBE).
Lines closer than 0.1° are merged.

Largest 10 diffraction maxima, by intensity, 2θ = 10–90°:
2θ (°)  d/Å  I_rel
29.7  3.007  100.0
42.4  2.132  23.9
42.7  2.120  23.7
25.4  3.500  16.3
43.0  2.104  12.2
52.3  1.750  11.5
42.0  2.153  11.5
69.8  1.348  9.2
70.2  1.341  9.2
25.8  3.459  7.3

Cell and atoms:
```
PuMnTl2Se4
1.0
7.3068 -4.3061 0.0000
7.3068 4.3061 0.0000
-4.7898 0.0000 6.9184
Pu Mn Tl Se
2 2 4 8
Cartesian
3.6534 2.1530 0.0000 Pu
3.6534 -2.1530 0.0000 Pu
0.0000 0.0000 0.0000 Mn
-2.3949 0.0000 3.4592 Mn
1.2585 2.1530 3.4592 Tl
1.2585 -2.1530 3.4592 Tl
7.3068 0.0000 0.0000 Tl
4.9119 0.0000 3.4592 Tl
6.0117 2.5460 1.6253 Se
3.8122 2.5460 5.2931 Se
2.3708 0.0000 1.3984 Se
-0.2677 0.0000 5.2271 Se
10.0916 0.0000 1.6912 Se
7.4531 0.0000 5.5200 Se
6.0117 -2.5460 1.6253 Se
3.8122 -2.5460 5.2931 Se
```



This entry pairs a crystal structure of Pu3Mn2Si9 with its theoretical XRD peak list. Radiation: Cu Kα. Structure: DFT lattice parameters and positions (PBE).
Lines closer than 0.1° are merged.

Largest 10 diffraction maxima, by intensity, 2θ = 10–90°:
2θ (°)  d/Å  I_rel
30.5  2.928  100.0
21.2  4.184  66.8
25.2  3.537  62.4
37.5  2.399  47.3
40.0  2.255  46.5
35.1  2.557  35.7
29.9  2.990  33.9
48.2  1.887  27.7
43.2  2.092  26.7
47.2  1.926  26.1

Cell and atoms:
```
Pu3Mn2Si9
1.0
5.8557 0.0000 0.0000
-2.9278 5.0711 0.0000
0.0000 0.0000 14.8083
Pu Mn Si
6 4 18
Cartesian
0.0000 0.0000 3.7021 Pu
0.0000 0.0000 11.1062 Pu
0.0000 3.3808 1.1041 Pu
0.0000 3.3808 6.3001 Pu
2.9278 1.6904 8.5083 Pu
2.9278 1.6904 13.7042 Pu
0.0000 3.3808 9.7353 Mn
0.0000 3.3808 12.4772 Mn
2.9278 1.6904 2.3312 Mn
2.9278 1.6904 5.0730 Mn
-1.2386 2.6657 3.7021 Si
0.0000 1.4469 8.4646 Si
0.0000 1.4469 13.7479 Si
-1.6748 4.3477 8.4646 Si
-1.6748 4.3477 13.7479 Si
'''
"There's times in marriage where you just fall out of love. You still love the person but you're just like, 'We're not connecting.'"
"We cannot make excuses, we cannot scapegoat love and say love should be enough, no, not when it comes to a romantic relationship."
"It's a toxic and destructive idea that there's going to be someone who will come along and you'll just have an effortlessly good relationship."
"No matter what you do, if a woman doesn't want you, she's never going to wake up one day and suddenly you're the man she wants."
"Every couple argues, that's a real-life thing that happens."
"Move on because he's not going to change what he wants with you."
"People don't open up about how hard marriage is enough."
"My music is for everyone out of everyone in the industry I have the most organic come up I was never all over the radio I was never in mainstream media I was never any of that it's like I'm almost still an underdog."
"Love is an emotion and you can experience love whether or not you and this person stay together forever or you stay together for six months."
"Nobody's perfect, so keep your head out of the clouds and grounded in regards to this relationship."
"It's not going to work out with the bad boys because guess what they don't settle down they're not marriage material but there's hope and instead of chasing the alpha, go after the beta."
"Love does not conquer all when it comes to relationships."
"Sometimes you're with someone and you know deep down that you're not compatible or that it's not gonna last."
"Understand that when you're choosing a partner, you can look at that person and not really know who they are or not really choose them for who they are in reality."
"No relationship is perfect... everybody go through that [expletive]."
"Isn't it true that really what we need here at the workplace is to have everyone respect one another?"
"There is no such thing as a perfect relationship."
"If partners were perfect there wouldn't be such a thing as divorce."
"My wife gets angry with me, that don't mean she hate me. I get angry with her, that'll mean I hate her. That's right."
"Marriage is a business, it's not about love... The foundation of marriage never was about love." - Teddy
"No relationship is perfect; every person that I met that said that has been a [__] liar."
"Relationships are not like this puppy-like romantic love constantly... it's doing the small things every single day to make sure the relationship works."
"If you're expecting marriage to fix the person, then it's only a matter of time before you're gonna be disappointed again."
"No marriage or relationship is perfect despite some trying to make it seem that way."
"If love got the job done, you wouldn't be here."
"Every relationship is a gift, even the painful ones."
"Be careful what you think is settling; the grass is not always greener."
"Love is not always enough—you have to have so much more to last long term."
"Let's be great, Tyree! That's a good start, I'm cool with it."
"I don't think God made one person for you because if He did, somebody messed it up long time ago."
"It's not all about the love, it's not about the love."
"Approach relationships with reality. All this fiction with monogamy, stop it."
"It's not going to be all lovey-dovey or romantic all the time, but it should be peaceful, it should be acceptance."
"He loved the idea of you, he didn't love you."
"It isn't sexy, it isn't like all rainbows and unicorns, but it is realistic for the long term."
"We're all gonna make mistakes, say dumb things, but don't expect a perfect relationship."
"If he's not interested, there's nothing you can do about it."
"You're giving up on romanticizing someone or seeing the potential, you're just seeing them for what they are."
"You can't fix someone, accept them or let them go."
"Stop trying to make every man be perfect when we're just people."
"As much as you have confidence and love and maturity and respect in your man he will cheat on you."
"The concept of the one is so narcissistic that not even I can fall into it."
"Recognize that not all relationships are 'the one.' Some are blessings, some are lessons."
"If it's not working then just leave. How is that ever supposed to work? You're not going to find somebody that's perfect at all."
"All relationships are transactional. If you don't transact through money, you'll transact through a STD."
"The odds of the marriage being successful are so damn low."
"No relationship is perfect; accept imperfections."
"Relationships are not supposed to be this thing where you're walking around in a state of bliss all the damn time."
"You're just not gonna like each other every day, yeah. You're just not."
"Gemini is saying, this person is not gonna change, there's not gonna be any growth."
"Every connection and every relationship is going to have red flags, you are never ever going to meet a person where there is not one single red flag."
"Men don't marry the love of their life they marry the girl that's around when they're ready to settle down."
"Not everybody is for everybody, and that's okay."
"The highly sanitized understanding of romance is incredibly destructive."
"The person who is right isn't the person who agrees and condones every aspect of our character. It's somebody who negotiates the differences between two people in a particular way, with a particular generosity and dare I say it sometimes, humour."
"This is a non-story because they never were going to be a match."
"You can't convince somebody to love you."
"Love is not enough to hold together a relationship through the ups and downs and craziness of life."
"No relationship is perfect, and no individual is perfect."
"I'm not perfect, and we know nobody in a relationship is perfect."
"The communication's still tough. It's not like everything's just so easy and everything's so glorious."
"No relationship is perfect, no person is perfect."
"There's no such thing as a perfect relationship or marriage or parenting."